(Data)
<<<
Record 1
# BaNi2Pt, relaxed, DFT PBE
# **Energy of formation from the pure elements**: 0.430 eV per atom
data_BaNi2Pt
_cell_length_a 4.193
_cell_length_b 4.193
_cell_length_c 8.503
_cell_angle_alpha 90.00
_cell_angle_beta 90.00
_cell_angle_gamma 90.00
_symmetry_space_group_name_H-M 'I -4 m 2'
_symmetry_Int_Tables_number 119
_symmetry_space_group_name_Hall 'I -4 -2'
loop_
_atom_site_label
_atom_site_type_symbol
_atom_site_fract_x
_atom_site_fract_y
_atom_site_fract_z
Ba1 Ba 0.000 0.000 0.000
Ni1 Ni 0.000 0.000 0.500
Ni2 Ni 0.000 0.500 0.750
Pt1 Pt 0.000 0.500 0.250

=====

Record 2
# Sb3HRu, relaxed, DFT PBE
# **Energy above the most stable polymorph in this dataset**: 0.60 eV per formula unit
data_Sb3HRu
_cell_length_a 5.112
_cell_length_b 5.112
_cell_length_c 5.112
_cell_angle_alpha 90.00
_cell_angle_beta 90.00
_cell_angle_gamma 90.00
_symmetry_space_group_name_H-M 'P m -3 m'
_symmetry_Int_Tables_number 221
_symmetry_space_group_name_Hall '-P 4 2 3'
loop_
_atom_site_label
_atom_site_type_symbol
_atom_site_fract_x
_atom_site_fract_y
_atom_site_fract_z
Sb1 Sb 0.000 0.000 0.500
H1 H 0.500 0.500 0.500
Ru1 Ru 0.000 0.000 0.000

=====

Record 3
# KMnCu2Br8, relaxed, DFT PBE
# **E_form (uncorrected)**: -0.54 eV/atom
data_KMnCu2Br8
_cell_length_a 6.4986
_cell_length_b 6.4986
_cell_length_c 30.3970
_cell_angle_alpha 90.00
_cell_angle_beta 90.00
_cell_angle_gamma 120.00
_symmetry_space_group_name_H-M 'R 3 2'
_symmetry_Int_Tables_number 155
_symmetry_space_group_name_Hall 'R 3 2"'
loop_
_atom_site_label
_atom_site_type_symbol
_atom_site_fract_x
_atom_site_fract_y
_atom_site_fract_z
K1 K 0.0000 0.0000 0.0000
Mn1 Mn 0.0000 0.0000 0.5000
Cu1 Cu 0.0000 0.0000 0.2420
Br1 Br 0.0000 0.0000 0.3195
Br2 Br 0.0135 0.3117 0.5557

=====

Record 4
# InRh2O6, relaxed, DFT PBE
# **E_form (uncorrected)**: -0.70 eV/atom
data_InRh2O6
_cell_length_a 5.5232
_cell_length_b 5.5232
_cell_length_c 4.6983
_cell_angle_alpha 90.00
_cell_angle_beta 90.00
_cell_angle_gamma 120.00
_symmetry_space_group_name_H-M 'P -3 1 m'
_symmetry_Int_Tables_number 162
_symmetry_space_group_name_Hall '-P 3 2'
loop_
_atom_site_label
_atom_site_type_symbol
_atom_site_fract_x
_atom_site_fract_y
_atom_site_fract_z
In1 In 0.0000 0.0000 0.0000
Rh1 Rh 0.3333 0.6667 0.0000
O1 O 0.0000 0.3596 0.7976

=====

Record 5
# AcErTlGa, relaxed, DFT PBE
# **Energy of formation from the pure elements**: -0.352 eV per atom
data_AcErTlGa
_cell_length_a 7.735
_cell_length_b 7.735
_cell_length_c 7.735
_cell_angle_alpha 90.00
_cell_angle_beta 90.00
_cell_angle_gamma 90.00
_symmetry_space_group_name_H-M 'F -4 3 m'
_symmetry_Int_Tables_number 216
_symmetry_space_group_name_Hall 'F -4 2 3'
loop_
_atom_site_label
_atom_site_type_symbol
_atom_site_fract_x
_atom_site_fract_y
_atom_site_fract_z
Ac1 Ac 0.000 0.000 0.000
Er1 Er 0.000 0.000 0.500
Tl1 Tl 0.250 0.250 0.750
Ga1 Ga 0.250 0.250 0.250

=====

Record 6
# KBPb, relaxed, DFT PBE
# **Energy above the most stable polymorph in this dataset**: 0.29 eV per formula unit
# **Energy of formation from the pure elements**: 0.236 eV per atom
data_KBPb
_cell_length_a 12.143
_cell_length_b 3.228
_cell_length_c 8.678
_cell_angle_alpha 90.00
_cell_angle_beta 90.00
>>>
(What to do)
Type out everything further above without altering anything.
(Response)
Record 1
# BaNi2Pt, relaxed, DFT PBE
# **Energy of formation from the pure elements**: 0.430 eV per atom
data_BaNi2Pt
_cell_length_a 4.193
_cell_length_b 4.193
_cell_length_c 8.503
_cell_angle_alpha 90.00
_cell_angle_beta 90.00
_cell_angle_gamma 90.00
_symmetry_space_group_name_H-M 'I -4 m 2'
_symmetry_Int_Tables_number 119
_symmetry_space_group_name_Hall 'I -4 -2'
loop_
_atom_site_label
_atom_site_type_symbol
_atom_site_fract_x
_atom_site_fract_y
_atom_site_fract_z
Ba1 Ba 0.000 0.000 0.000
Ni1 Ni 0.000 0.000 0.500
Ni2 Ni 0.000 0.500 0.750
Pt1 Pt 0.000 0.500 0.250

=====

Record 2
# Sb3HRu, relaxed, DFT PBE
# **Energy above the most stable polymorph in this dataset**: 0.60 eV per formula unit
data_Sb3HRu
_cell_length_a 5.112
_cell_length_b 5.112
_cell_length_c 5.112
_cell_angle_alpha 90.00
_cell_angle_beta 90.00
_cell_angle_gamma 90.00
_symmetry_space_group_name_H-M 'P m -3 m'
_symmetry_Int_Tables_number 221
_symmetry_space_group_name_Hall '-P 4 2 3'
loop_
_atom_site_label
_atom_site_type_symbol
_atom_site_fract_x
_atom_site_fract_y
_atom_site_fract_z
Sb1 Sb 0.000 0.000 0.500
H1 H 0.500 0.500 0.500
Ru1 Ru 0.000 0.000 0.000

=====

Record 3
# KMnCu2Br8, relaxed, DFT PBE
# **E_form (uncorrected)**: -0.54 eV/atom
data_KMnCu2Br8
_cell_length_a 6.4986
_cell_length_b 6.4986
_cell_length_c 30.3970
_cell_angle_alpha 90.00
_cell_angle_beta 90.00
_cell_angle_gamma 120.00
_symmetry_space_group_name_H-M 'R 3 2'
_symmetry_Int_Tables_number 155
_symmetry_space_group_name_Hall 'R 3 2"'
loop_
_atom_site_label
_atom_site_type_symbol
_atom_site_fract_x
_atom_site_fract_y
_atom_site_fract_z
K1 K 0.0000 0.0000 0.0000
Mn1 Mn 0.0000 0.0000 0.5000
Cu1 Cu 0.0000 0.0000 0.2420
Br1 Br 0.0000 0.0000 0.3195
Br2 Br 0.0135 0.3117 0.5557

=====

Record 4
# InRh2O6, relaxed, DFT PBE
# **E_form (uncorrected)**: -0.70 eV/atom
data_InRh2O6
_cell_length_a 5.5232
_cell_length_b 5.5232
_cell_length_c 4.6983
_cell_angle_alpha 90.00
_cell_angle_beta 90.00
_cell_angle_gamma 120.00
_symmetry_space_group_name_H-M 'P -3 1 m'
_symmetry_Int_Tables_number 162
_symmetry_space_group_name_Hall '-P 3 2'
loop_
_atom_site_label
_atom_site_type_symbol
_atom_site_fract_x
_atom_site_fract_y
_atom_site_fract_z
In1 In 0.0000 0.0000 0.0000
Rh1 Rh 0.3333 0.6667 0.0000
O1 O 0.0000 0.3596 0.7976

=====

Record 5
# AcErTlGa, relaxed, DFT PBE
# **Energy of formation from the pure elements**: -0.352 eV per atom
data_AcErTlGa
_cell_length_a 7.735
_cell_length_b 7.735
_cell_length_c 7.735
_cell_angle_alpha 90.00
_cell_angle_beta 90.00
_cell_angle_gamma 90.00
_symmetry_space_group_name_H-M 'F -4 3 m'
_symmetry_Int_Tables_number 216
_symmetry_space_group_name_Hall 'F -4 2 3'
loop_
_atom_site_label
_atom_site_type_symbol
_atom_site_fract_x
_atom_site_fract_y
_atom_site_fract_z
Ac1 Ac 0.000 0.000 0.000
Er1 Er 0.000 0.000 0.500
Tl1 Tl 0.250 0.250 0.750
Ga1 Ga 0.250 0.250 0.250

=====

Record 6
# KBPb, relaxed, DFT PBE
# **Energy above the most stable polymorph in this dataset**: 0.29 eV per formula unit
# **Energy of formation from the pure elements**: 0.236 eV per atom
data_KBPb
_cell_length_a 12.143
_cell_length_b 3.228
_cell_length_c 8.678
_cell_angle_alpha 90.00
_cell_angle_beta 90.00